Using the Quick Selection Tool in Adobe Photoshop CS5
The Photoshop features we’re going to discuss next — the Quick Selection tool, Magic Wand tool, and Color Range command — create selections in a more automatic way than the marquee and lasso tools. With these tools, the work of detecting the color boundaries is done for you, and the resulting selections tend to be very precise.
If the area you want to select has well-defined borders, instead of using a lasso tool, try using the Quick Selection tool. Rather than tediously tracing a precise contour, with this tool, you merely drag across a shape and stand by as it detects and selects the shape’s color boundary. You can push the resulting selection outward to include an adjacent color boundary or inward to make it smaller.
To use the Quick Selection tool
- Click a layer.
- Choose the Quick Selection tool
(W or Shift-W).
- On the Options bar:
Click the New Selection button
to replace any existing selections with the one you’re about to create (or press Ctrl-D/Cmd-D to deselect).
Use the Sample All Layers check box to control whether you want the tool to detect color boundaries on just the current layer or on all layers.
Check Auto-Enhance for a smoother, more refined selection edge.
- To choose a brush diameter, Alt-right-click-drag/Control-Option-drag to the left or right or press ] or [ , then drag within the area to be selected.A The selection will expand to the first significant color or shade boundary that the tool detects. The selection will preview as you drag, and will become more precise when you release the mouse.
- Do any of the following optional steps:
- To enlarge the selection, click or drag in an adjoining area; the selection will expand to include it.B–C
- To shrink the selection, Alt-drag/Option-drag along the edge of the area to be subtracted (this is a temporary Subtract From button) (A–B, next page).
- Note: To block an adjacent area from becoming selected by the Quick Selection tool as you enlarge an existing selection, Alt-click/Option-click or drag in that area, release Alt/Option, then drag to enlarge the selection area. The block will remain in effect until you click the blocked area again with the Quick Selection tool.C–E
Someone pasted materials data at this point:
/*
VASP calculation (GGA-PBE) on a relaxed structure of Rb3PrF6.

As for the calculated volume: 27.6 A^3/atom. As for the energy of formation: -3.42 eV/atom. The value obtained for the total energy is -101.261 eV per cell. The total magnetization comes out at 0.0000 μB/atom.

It has space group I4/mmm (No. 139), with a = 7.528 Å, b = 7.528 Å, c = 9.751 Å, α = 90.00°, β = 90.00° and γ = 90.00°. Symmetry generates all atoms from Rb at (0.000, 0.000, 0.000), Rb at (0.000, 0.500, 0.250), Pr at (0.000, 0.000, 0.500), F at (0.000, 0.000, 0.262) and F at (0.000, 0.308, 0.500).

~~~~~

No. 1
VASP calculation (GGA-PBE) on a relaxed structure of Na8Zr3ZnSi4P2O24.

Results
Formation enthalpy at 0 K ... -2.933 eV per atom
E_tot ... -7.035 eV/atom

Unit cell a=9.2566 b=9.2406 c=22.6519 alpha=89.92 beta=90.21 gamma=120.07
Last column: nearest neighbours and their distance in Å.
Fractional coordinates of all 126 atoms:
Na: 0.6374 0.0186 0.2414  5 O 2.37-2.65
Na: 0.3828 0.3625 0.2422  4 O 2.38-2.67
Na: 0.9804 0.6191 0.2422  3 O 2.38-2.45
Na: 0.6354 0.6193 0.7445  5 O 2.42-2.66
Na: 0.9800 0.3660 0.7481  5 O 2.41-2.66
Na: 0.3841 0.0139 0.7428  5 O 2.41-2.67
Na: 0.3124 0.3347 0.5859  5 O 2.47-2.72
Na: 0.0303 0.6984 0.5844  6 O 2.53-2.76
Na: 0.6615 0.9709 0.5900  6 O 2.56-2.82
Na: 0.3092 0.9712 0.0835  6 O 2.55-2.84
Na: 0.6620 0.6906 0.0835  6 O 2.54-2.84
Na: 0.0290 0.3380 0.0833  6 O 2.54-2.85
Na: 0.9663 0.6645 0.9170  6 O 2.51-2.76
Na: 0.6991 0.0353 0.9170  6 O 2.51-2.76
Na: 0.3343 0.3008 0.9181  6 O 2.53-2.80
Na: 0.9690 0.2894 0.4117  5 O 2.43-2.64
Na: 0.3151 0.0324 0.4140  5 O 2.44-2.67
Na: 0.7144 0.6789 0.4109  5 O 2.39-2.65
Na: 0.0059 0.9981 0.4937  5 O 2.43-2.69
Na: 0.0009 0.0011 0.9988  6 O 2.54-2.66
Na: 0.6708 0.3335 0.8273  6 O 2.42-2.70
Na: 0.6677 0.3368 0.3265  5 O 2.46-2.67
Na: 0.3344 0.6675 0.1617  6 O 2.48-2.71
Na: 0.3390 0.6751 0.6685  5 O 2.44-2.63
Zr: 0.9939 0.9953 0.8516  6 O 2.03-2.16
Zr: 0.9978 0.9930 0.6481  6 O 2.01-2.24
Zr: 0.0004 0.9999 0.1479  6 O 2.08-2.14
Zr: 0.6672 0.3336 0.9830  6 O 2.07-2.15
Zr: 0.6634 0.3383 0.4818  6 O 2.01-2.25
Zr: 0.3332 0.6668 0.0180  6 O 2.05-2.14
Zr: 0.3316 0.6664 0.5180  6 O 2.04-2.17
Zr: 0.3299 0.6619 0.3157  6 O 2.01-2.21
Zr: 0.3340 0.6706 0.8146  6 O 2.03-2.23
Zn: 0.0077 0.0003 0.3504  5 O 2.06-2.14
Zn: 0.6661 0.3323 0.6824  5 O 2.04-2.19
Zn: 0.6667 0.3333 0.1712  3 O 1.97
Si: 0.9980 0.6988 0.7496  4 O 1.61-1.66
Si: 0.7021 0.0017 0.7489  4 O 1.62-1.66
Si: 0.3740 0.0400 0.5856  4 O 1.61-1.66
Si: 0.6651 0.6268 0.5861  4 O 1.61-1.66
Si: 0.9623 0.6271 0.0866  4 O 1.61-1.66
Si: 0.6655 0.0383 0.0865  4 O 1.61-1.66
Si: 0.3733 0.3348 0.0863  4 O 1.61-1.66
Si: 0.6278 0.6653 0.9165  4 O 1.63-1.64
Si: 0.0374 0.3708 0.9161  4 O 1.64
Si: 0.3339 0.9642 0.9167  4 O 1.63-1.64
Si: 0.3309 0.3673 0.4164  4 O 1.62-1.66
Si: 0.0345 0.6660 0.4160  4 O 1.62-1.66
P: 0.2968 0.0005 0.2529  4 O 1.53-1.58
P: 0.7063 0.7080 0.2535  4 O 1.54-1.58
P: 0.9998 0.2926 0.2534  4 O 1.53-1.59
P: 0.2923 0.2943 0.7503  4 O 1.52-1.56
*/
- To undo the last click or drag of the Quick Selection tool, press Ctrl-Z/Cmd-Z.
- To save any kind of selection to an alpha channel, see page 160.
- To clean up a Quick Selection, you can use another selection tool, such as the Lasso. To refine the selection, see page 161.